## Request
Please count the lines further below that contain the word "Ce5Ge2Rh" and give the number alone.

## Input
-- begin --
Computed, not measured: Ce5Ge2Rh after structural relaxation at the PBE level of DFT.

The structure in POSCAR format:
```
Ce5Ge2Rh
1.0
7.850 0.000 0.000
0.000 8.813 0.000
0.000 0.000 11.798
Ce Ge Rh
20 8 4
Direct
0.799 0.039 0.569
0.701 0.039 0.069
0.659 0.750 0.785
0.299 0.961 0.931
0.359 0.750 0.208
0.641 0.250 0.792
0.341 0.250 0.215
0.201 0.961 0.431
0.859 0.250 0.292
0.159 0.250 0.715
0.299 0.539 0.931
0.470 0.250 0.498
0.141 0.750 0.708
0.530 0.750 0.502
0.799 0.461 0.569
0.701 0.461 0.069
0.970 0.750 0.002
0.201 0.539 0.431
0.841 0.750 0.285
0.030 0.250 0.998
0.073 0.504 0.173
0.573 0.496 0.327
0.427 0.504 0.673
0.427 0.996 0.673
0.073 0.996 0.173
0.927 0.496 0.827
0.927 0.004 0.827
0.573 0.004 0.327
0.573 0.750 0.020
0.427 0.250 0.980
0.927 0.750 0.520
0.073 0.250 0.480
```

magnetization	17.48	Bohr magnetons per cell
calculated formation energy	-624	meV per atom
symmetry	No. 62


Record 1
LiFeF3: optimized geometry, PBE+U. Values from VASP.

space-group type: No. 88
energy above the most stable polymorph in this dataset: 85.5 meV per atom

Structure (Quantum ESPRESSO input):
```
&SYSTEM
  ibrav = 0, nat = 80, ntyp = 3
/
ATOMIC_SPECIES
F 19.00 F.upf
Li 6.94 Li.upf
Fe 55.84 Fe.upf
CELL_PARAMETERS angstrom
-6.1619 6.1619 5.9922
6.1619 -6.1619 5.9922
6.1619 6.1619 -5.9922
ATOMIC_POSITIONS crystal
F 0.8238 0.9153 0.2762
Li 0.3688 0.2462 0.1239
F 0.3881 0.0345 0.3147
F 0.3028 0.8515 0.9760
F 0.7198 0.5734 0.1853
F 0.8597 0.5856 0.9077
Fe 0.0000 0.5000 0.5000
Li 0.2449 0.8688 0.1226
F 0.2802 0.4266 0.8147
F 0.6972 0.1485 0.0240
F 0.4655 0.7802 0.8537
F 0.1762 0.0847 0.7238
F 0.3268 0.8028 0.4513
F 0.1917 0.0578 0.9685
Li 0.6312 0.7538 0.8761
Fe 0.5000 0.5000 0.5000
Fe 0.1305 0.8805 0.7500
F 0.0893 0.7232 0.5315
F 0.2204 0.5439 0.6156
F 0.8755 0.8268 0.5240
F 0.0856 0.1779 0.2259
F 0.0439 0.4283 0.8236
Fe 0.7611 0.8981 0.6255
Fe 0.2727 0.6356 0.8745
Li 0.6250 0.8750 0.2500
Li 0.5000 0.5000 0.0000
F 0.0734 0.8881 0.3537
Fe 0.0000 0.0000 0.0000
Li 0.1223 0.7449 0.3761
Li 0.7551 0.1312 0.8774
F 0.5847 0.8609 0.4085
Fe 0.3981 0.7727 0.6371
F 0.6732 0.1972 0.5487
Li 0.8750 0.6250 0.7500
F 0.3221 0.5480 0.4077
Fe 0.8695 0.1195 0.2500
F 0.6119 0.9655 0.6853
F 0.9283 0.1047 0.8844
F 0.6779 0.4520 0.5923
Li 0.2538 0.3777 0.6226
Fe 0.2389 0.1019 0.3745
Fe 0.8644 0.7389 0.1371
Li 0.0000 0.0000 0.5000
F 0.3609 0.9524 0.7762
F 0.0717 0.8953 0.1156
F 0.1245 0.1732 0.4760
F 0.7796 0.4561 0.3844
F 0.9561 0.5717 0.1764
Li 0.1250 0.3750 0.2500
F 0.5476 0.3238 0.9085
F 0.6047 0.7204 0.6764
F 0.8083 0.9422 0.0315
Li 0.8777 0.2551 0.6239
F 0.3953 0.2796 0.3236
F 0.3515 0.3755 0.0487
F 0.1403 0.4144 0.0923
F 0.9107 0.2768 0.4685
Fe 0.7273 0.3644 0.1255
F 0.5345 0.2198 0.1463
Li 0.3750 0.1250 0.7500
F 0.2232 0.6917 0.1339
F 0.6485 0.6245 0.9513
F 0.4153 0.1391 0.5915
Fe 0.6195 0.3695 0.7500
F 0.9520 0.3597 0.2741
F 0.4524 0.6762 0.0915
Li 0.5000 0.0000 0.0000
F 0.5578 0.5893 0.3661
Li 0.7462 0.6223 0.3774
Li 0.5000 0.0000 0.5000
F 0.6391 0.0476 0.2238
Fe 0.3805 0.6305 0.2500
F 0.4422 0.4107 0.6339
F 0.9144 0.8221 0.7741
F 0.0480 0.6403 0.7259
F 0.7768 0.3083 0.8661
Fe 0.6019 0.2273 0.3629
F 0.9266 0.1119 0.6463
Fe 0.1356 0.2611 0.8629
Fe 0.0000 0.5000 0.0000
```

Record 2
Li2Fe5F17: optimized geometry, PBE+U. Values from VASP.

space-group type: No. 63

Structure (Quantum ESPRESSO input):
```
&SYSTEM
  ibrav = 0, nat = 96, ntyp = 3
/
ATOMIC_SPECIES
F 19.00 F.upf
Fe 55.84 Fe.upf
Li 6.94 Li.upf
CELL_PARAMETERS angstrom
3.7584 -12.4991 0.0000
3.7584 12.4991 0.0000
0.0000 0.0000 14.9618
ATOMIC_POSITIONS crystal
F 0.1140 0.8860 0.3480
F 0.8556 0.5544 0.2500
F 0.7565 0.8573 0.3440
F 0.9858 0.3860 0.5894
F 0.5500 0.8392 0.2500
Fe 0.6237 0.8744 0.1197
F 0.4821 0.8722 0.4050
F 0.9015 0.7015 0.4982
F 0.6417 0.3583 0.0912
F 0.8392 0.5500 0.7500
F 0.8722 0.4821 0.9050
F 0.3860 0.9858 0.0894
F 0.7015 0.9015 0.9982
Li 0.6941 0.3059 0.7500
Li 0.2504 0.7496 0.0558
Li 0.2504 0.7496 0.4442
F 0.6140 0.0142 0.9106
F 0.8548 0.1452 0.3605
F 0.5179 0.1278 0.9050
-- stop --

## Reply
2